=====
Run P
PBE K3SbS4, relaxed; maximum piezoelectric response = 0.454 C/m²; V = 30.80 A^3/atom; crystal system = orthorhombic
1.0
5.450 -5.777 0.000
5.450 5.777 0.000
0.000 0.000 7.826
K Sb S
6 2 8
direct
0.195 0.805 0.500
0.244 0.318 0.494
0.318 0.244 0.994
0.682 0.756 0.494
0.756 0.682 0.994
0.805 0.195 0.000
0.258 0.742 0.999
0.742 0.258 0.499
0.075 0.925 0.136
0.097 0.548 0.826
0.408 0.592 0.207
0.452 0.903 0.826
0.548 0.097 0.326
0.592 0.408 0.707
0.903 0.452 0.326
0.925 0.075 0.636

Run Q
PBE K3SbS4, relaxed; maximum piezoelectric response = 0.673 C/m²; V = 30.48 A^3/atom; crystal system = cubic
1.0
-3.935 3.935 3.935
3.935 -3.935 3.935
3.935 3.935 -3.935
K Sb S
3 1 4
direct
0.000 0.500 0.500
0.500 0.000 0.500
0.500 0.500 0.000
0.000 0.000 0.000
0.000 0.000 0.349
0.000 0.349 0.000
0.349 0.000 0.000
0.651 0.651 0.651

Least stable of them? run Q.

Run P
PBE K4Ta2S11, relaxed; V = 27.74 A^3/atom; total magnetization = 0.00 μB per cell; crystal system = orthorhombic
1.0
13.525 0.000 0.000
0.000 7.566 0.000
0.000 0.000 18.432
K Ta S
16 8 44
direct
0.037 0.218 0.104
0.092 0.185 0.401
0.216 0.792 0.253
0.228 0.672 0.000
0.272 0.672 0.500
0.284 0.792 0.753
0.408 0.185 0.901
0.463 0.218 0.604
0.537 0.782 0.104
0.592 0.815 0.401
0.716 0.208 0.253
0.728 0.328 0.000
0.772 0.328 0.500
0.784 0.208 0.753
0.908 0.815 0.901
0.963 0.782 0.604
0.056 0.259 0.845
0.117 0.198 0.663
0.383 0.198 0.163
0.444 0.259 0.345
0.556 0.741 0.845
0.617 0.802 0.663
0.883 0.802 0.163
0.944 0.741 0.345
0.015 0.030 0.752
0.018 0.464 0.743
0.044 0.754 0.105
0.071 0.392 0.558
0.089 0.745 0.406
0.094 0.575 0.830
0.152 0.018 0.900
0.171 0.260 0.952
0.183 0.967 0.603
0.235 0.221 0.768
0.240 0.395 0.181
0.260 0.395 0.681
0.265 0.221 0.268
0.317 0.967 0.103
0.329 0.260 0.452
0.348 0.018 0.400
0.406 0.575 0.330
0.411 0.745 0.906
0.429 0.392 0.058
0.456 0.754 0.605
0.482 0.464 0.243
0.485 0.030 0.252
0.515 0.970 0.752
0.518 0.536 0.743
0.544 0.246 0.105
0.571 0.608 0.558
0.589 0.255 0.406
0.594 0.425 0.830
0.652 0.982 0.900
0.671 0.740 0.952
0.683 0.033 0.603
0.735 0.779 0.768
0.740 0.605 0.181
0.760 0.605 0.681
0.765 0.779 0.268
0.817 0.033 0.103
0.829 0.740 0.452
0.848 0.982 0.400
0.906 0.425 0.330
0.911 0.255 0.906
0.929 0.608 0.058
0.956 0.246 0.605
0.982 0.536 0.243
0.985 0.970 0.252

Run Q
PBE K4Ta2S11, relaxed; V = 29.12 A^3/atom; crystal system = triclinic
1.0
7.614 0.000 0.000
0.920 11.621 0.000
0.758 4.287 11.188
K Ta S
8 4 22
direct
0.027 0.313 0.154
0.244 0.869 0.506
0.271 0.847 0.053
0.284 0.463 0.388
0.716 0.537 0.612
0.729 0.153 0.947
0.756 0.131 0.494
0.973 0.687 0.846
0.145 0.367 0.796
0.234 0.147 0.659
0.766 0.853 0.341
0.855 0.633 0.204
0.009 0.319 0.634
0.013 0.984 0.255
0.111 0.583 0.120
0.154 0.137 0.898
0.212 0.564 0.635
0.231 0.916 0.759
0.266 0.161 0.466
0.309 0.232 0.970
0.334 0.531 0.797
0.433 0.306 0.665
0.464 0.876 0.270
0.536 0.124 0.730
0.567 0.694 0.335
0.666 0.469 0.203
0.691 0.768 0.030
0.734 0.839 0.534
0.769 0.084 0.241
0.788 0.436 0.365
0.846 0.863 0.102
0.889 0.417 0.880
0.987 0.016 0.745
0.991 0.681 0.366

Least stable of them? run P.

~~~~~

Ta2TeO8 | PBE | relaxed

Cell and atoms, written as POSCAR:
```
Ta2TeO8
1.0
1.993 -8.796 5.240
7.373 -6.533 3.432
0.510 2.475 4.614
Te O Ta
2 16 4
Cartesian
4.276 -6.140 8.062 Te
5.600 -6.714 5.224 Te
7.162 -7.552 4.581 O
8.546 -11.224 9.732 O
7.437 -12.821 7.713 O
5.986 -9.879 7.750 O
3.835 -6.036 6.071 O
6.248 -4.945 5.124 O
3.627 -7.909 8.162 O
2.430 -4.719 3.633 O
3.890 -2.975 5.535 O
2.439 -0.033 5.573 O
5.246 -4.312 7.990 O
7.445 -8.135 9.652 O
1.329 -1.630 3.553 O
2.713 -5.302 8.705 O
6.040 -6.818 7.214 O
4.629 -8.542 5.296 O
5.581 -3.061 5.989 Ta
1.793 -5.786 4.869 Ta
8.083 -7.068 8.417 Ta
4.295 -9.792 7.297 Ta
```

Calculated values
**Total energy after the MP2020 corrections**: -184.840 eV/cell
**Uncorrected energy**: -173.85 eV per cell
**M_tot**: 0.00 μB/f.u.


Ta2Te2O9 | PBE | relaxed

Cell and atoms, written as POSCAR:
```
Ta2Te2O9
1.0
7.667 0.000 0.000
0.000 7.242 0.000
=====

Could you print the whole of the contents further above character by character?

Run P
PBE K3SbS4, relaxed; maximum piezoelectric response = 0.454 C/m²; V = 30.80 A^3/atom; crystal system = orthorhombic
1.0
5.450 -5.777 0.000
5.450 5.777 0.000
0.000 0.000 7.826
K Sb S
6 2 8
direct
0.195 0.805 0.500
0.244 0.318 0.494
0.318 0.244 0.994
0.682 0.756 0.494
0.756 0.682 0.994
0.805 0.195 0.000
0.258 0.742 0.999
0.742 0.258 0.499
0.075 0.925 0.136
0.097 0.548 0.826
0.408 0.592 0.207
0.452 0.903 0.826
0.548 0.097 0.326
0.592 0.408 0.707
0.903 0.452 0.326
0.925 0.075 0.636

Run Q
PBE K3SbS4, relaxed; maximum piezoelectric response = 0.673 C/m²; V = 30.48 A^3/atom; crystal system = cubic
1.0
-3.935 3.935 3.935
3.935 -3.935 3.935
3.935 3.935 -3.935
K Sb S
3 1 4
direct
0.000 0.500 0.500
0.500 0.000 0.500
0.500 0.500 0.000
0.000 0.000 0.000
0.000 0.000 0.349
0.000 0.349 0.000
0.349 0.000 0.000
0.651 0.651 0.651

Least stable of them? run Q.

Run P
PBE K4Ta2S11, relaxed; V = 27.74 A^3/atom; total magnetization = 0.00 μB per cell; crystal system = orthorhombic
1.0
13.525 0.000 0.000
0.000 7.566 0.000
0.000 0.000 18.432
K Ta S
16 8 44
direct
0.037 0.218 0.104
0.092 0.185 0.401
0.216 0.792 0.253
0.228 0.672 0.000
0.272 0.672 0.500
0.284 0.792 0.753
0.408 0.185 0.901
0.463 0.218 0.604
0.537 0.782 0.104
0.592 0.815 0.401
0.716 0.208 0.253
0.728 0.328 0.000
0.772 0.328 0.500
0.784 0.208 0.753
0.908 0.815 0.901
0.963 0.782 0.604
0.056 0.259 0.845
0.117 0.198 0.663
0.383 0.198 0.163
0.444 0.259 0.345
0.556 0.741 0.845
0.617 0.802 0.663
0.883 0.802 0.163
0.944 0.741 0.345
0.015 0.030 0.752
0.018 0.464 0.743
0.044 0.754 0.105
0.071 0.392 0.558
0.089 0.745 0.406
0.094 0.575 0.830
0.152 0.018 0.900
0.171 0.260 0.952
0.183 0.967 0.603
0.235 0.221 0.768
0.240 0.395 0.181
0.260 0.395 0.681
0.265 0.221 0.268
0.317 0.967 0.103
0.329 0.260 0.452
0.348 0.018 0.400
0.406 0.575 0.330
0.411 0.745 0.906
0.429 0.392 0.058
0.456 0.754 0.605
0.482 0.464 0.243
0.485 0.030 0.252
0.515 0.970 0.752
0.518 0.536 0.743
0.544 0.246 0.105
0.571 0.608 0.558
0.589 0.255 0.406
0.594 0.425 0.830
0.652 0.982 0.900
0.671 0.740 0.952
0.683 0.033 0.603
0.735 0.779 0.768
0.740 0.605 0.181
0.760 0.605 0.681
0.765 0.779 0.268
0.817 0.033 0.103
0.829 0.740 0.452
0.848 0.982 0.400
0.906 0.425 0.330
0.911 0.255 0.906
0.929 0.608 0.058
0.956 0.246 0.605
0.982 0.536 0.243
0.985 0.970 0.252

Run Q
PBE K4Ta2S11, relaxed; V = 29.12 A^3/atom; crystal system = triclinic
1.0
7.614 0.000 0.000
0.920 11.621 0.000
0.758 4.287 11.188
K Ta S
8 4 22
direct
0.027 0.313 0.154
0.244 0.869 0.506
0.271 0.847 0.053
0.284 0.463 0.388
0.716 0.537 0.612
0.729 0.153 0.947
0.756 0.131 0.494
0.973 0.687 0.846
0.145 0.367 0.796
0.234 0.147 0.659
0.766 0.853 0.341
0.855 0.633 0.204
0.009 0.319 0.634
0.013 0.984 0.255
0.111 0.583 0.120
0.154 0.137 0.898
0.212 0.564 0.635
0.231 0.916 0.759
0.266 0.161 0.466
0.309 0.232 0.970
0.334 0.531 0.797
0.433 0.306 0.665
0.464 0.876 0.270
0.536 0.124 0.730
0.567 0.694 0.335
0.666 0.469 0.203
0.691 0.768 0.030
0.734 0.839 0.534
0.769 0.084 0.241
0.788 0.436 0.365
0.846 0.863 0.102
0.889 0.417 0.880
0.987 0.016 0.745
0.991 0.681 0.366

Least stable of them? run P.

~~~~~

Ta2TeO8 | PBE | relaxed

Cell and atoms, written as POSCAR:
```
Ta2TeO8
1.0
1.993 -8.796 5.240
7.373 -6.533 3.432
0.510 2.475 4.614
Te O Ta
2 16 4
Cartesian
4.276 -6.140 8.062 Te
5.600 -6.714 5.224 Te
7.162 -7.552 4.581 O
8.546 -11.224 9.732 O
7.437 -12.821 7.713 O
5.986 -9.879 7.750 O
3.835 -6.036 6.071 O
6.248 -4.945 5.124 O
3.627 -7.909 8.162 O
2.430 -4.719 3.633 O
3.890 -2.975 5.535 O
2.439 -0.033 5.573 O
5.246 -4.312 7.990 O
7.445 -8.135 9.652 O
1.329 -1.630 3.553 O
2.713 -5.302 8.705 O
6.040 -6.818 7.214 O
4.629 -8.542 5.296 O
5.581 -3.061 5.989 Ta
1.793 -5.786 4.869 Ta
8.083 -7.068 8.417 Ta
4.295 -9.792 7.297 Ta
```

Calculated values
**Total energy after the MP2020 corrections**: -184.840 eV/cell
**Uncorrected energy**: -173.85 eV per cell
**M_tot**: 0.00 μB/f.u.


Ta2Te2O9 | PBE | relaxed

Cell and atoms, written as POSCAR:
```
Ta2Te2O9
1.0
7.667 0.000 0.000
0.000 7.242 0.000